Archive for the ‘film’ Category

The Reality of Bulimia…..

February 10, 2008



The true horror of eating disorders is minimised. Whilst the media and social forums glamorise anorexia as being “heroin chic” ~ bulimia nervosa is almost completely ignored as socially taboo.

Adding to the problem is the fact that the Welsh medical community still diagnose the severity of an eating disorder in terms of bmi (low body weight). This entirely inadequate diagnostic tool all but disqualifies severe bulimics from accessing a level of help appropriate to their need.

Bulimia does not always cause low body weight. In fact, severe bulimics who consume huge quantities of high calorie, sugary food before purging are more likely to be slightly over-weight. This is because their body digests a percentage of the food they consume almost instantly.

Bulimia kills

Bulimia kills. It causes a range of chemical imbalances in the body which trigger cardiac arrest (stopping the heart) or brain damage.

Bulimia can also cause gastric rupture (rupture of the stomach), leading to death. Lung collapse, internal bleeding, stroke, kidney failure, liver failure; pancreatitis and perforated ulcers. Depression and suicide are a high cause of fatality in bulimics. The affects of binging and purging on an unborn child are brutal and irreversible.

This short film documents some of the fatalities resulting from bulimia nervosa. (There is another, far more brutal film at the end of this blog entry).


The physical affects of


Bulimia Nervosa

Electrolyte imbalance (Can lead to cardiac arrest, which can also result in brain damage by stroke.)
Damaging of the voice
Vitamin and mineral deficiencies
Teeth erosion and cavities, gum disease
Sialadenosis (salivary gland swelling)
Potential for gastric rupture during periods of binging
Esophageal reflux
Irritation, inflammation, and possible rupture of the esophagus
Laxative dependence
Peptic ulcers and pancreatitis
Emetic toxicity due to ipecac abuse
Swelling of the face and cheeks, especially apparent in the lower eyelids due to the high pressure of blood in the face during vomiting.
Callused or bruised fingers
Dry or brittle skin, hair, and nails, or hair loss
Muscle atrophy
Decreased/increased bowel activity
Digestive problems that may be triggered, including Celiac, Crohn’s Disease
Low blood pressure, hypotension
Orthostatic hypotension
High blood pressure, hypertension
Iron deficiency
Hormonal imbalances
High risk pregnancy, miscarriage, still-born babies
Elevated blood sugar or hyperglycemia
Weakness and fatigue
Chronic Fatigue Syndrome
Cancer of the throat or voice box
Liver failure
Kidney infection and failure
Heart failure, heart arrhythmia, angina
Potential death caused by heart attack or heart failure; lung collapse; internal bleeding, stroke, kidney failure, liver failure; pancreatitis, gastric rupture, perforated ulcer, depression and suicide.




Bulimia in the UK: Fast facts


Approximately 1-2 percent of women in the UK suffer from bulimia.

Every year there are as many as 18 new cases of bulimia nervosa per 100,000 population per year.

Between 1 and 3 percent of young women are thought to be bulimic at any given moment in time.

According to some studies, as many as 8 percent of women suffer from bulimia at some stage in their life, and it affects about 5 percent of female college students.

People who have close relatives with bulimia are four times more likely to develop the disease than people who do not.

Studies indicate that about 5 out of 10 people with bulimia are healthy 10 years after diagnosis; while 2 out of 10 still have bulimia and 3 out of 10 are partially recovered.

Approximately 5 percent of bulimia sufferers go on to develop anorexia nervosa.


The final film/audio here really brings home the horror of death by of bulimia nervosa.
Please be aware that this film contains some graphic imagery and is explicit re. details of death. Although I am familiar with reading about stomach rupture and organ failure, I personally find the narrative deeply upsetting.
I spent a long time considering the merits of including such a film, and have decided to do so; because the majority of people who access this blog are sufferers and for them it may be of benefit. That said, I do not reccomend that everyone watch it.



Calculated crystals, as found in the file:
=====
# 1
Material: LaTl2SbOs
Method: DFT, PBE-GGA
State: optimized geometry

a b c (Å): 5.2800 5.2800 5.1826
angles (deg): 90.00 90.00 90.00
Space group P4/mmm (No. 123)
Inequivalent atoms, fractional coordinates:
La 0.0000 0.0000 0.0000 (multiplicity 1)
Tl 0.0000 0.5000 0.5000 (multiplicity 2)
Sb 0.5000 0.5000 0.0000 (multiplicity 1)
Os 0.5000 0.5000 0.5000 (multiplicity 1)

Summary:
energy relative to the elements, uncorrected: 0.266 eV per atom

***

# 2
Material: LaSc3Os
Method: DFT, PBE-GGA
State: optimized geometry

a b c (Å): 5.1281 5.1281 5.1281
angles (deg): 90.00 90.00 90.00
Space group Pm-3m (No. 221)
Inequivalent atoms, fractional coordinates:
La 0.0000 0.0000 0.0000 (multiplicity 1)
Sc 0.0000 0.5000 0.5000 (multiplicity 3)
Os 0.5000 0.5000 0.5000 (multiplicity 1)

Summary:
energy relative to the elements: -0.116 eV per atom

***

# 3
Material: LaScOs3
Method: DFT, PBE-GGA
State: optimized geometry

a b c (Å): 4.8306 4.8306 4.8306
angles (deg): 90.00 90.00 90.00
Space group Pm-3m (No. 221)
Inequivalent atoms, fractional coordinates:
La 0.0000 0.0000 0.0000 (multiplicity 1)
Sc 0.5000 0.5000 0.5000 (multiplicity 1)
Os 0.0000 0.0000 0.5000 (multiplicity 3)

Summary:
energy relative to the elements: 2.117 eV per atom

***

# 4
Material: La2ScOs
Method: DFT, PBE-GGA
State: optimized geometry

a b c (Å): 12.6046 3.5753 5.3267
angles (deg): 90.00 114.97 90.00
Space group Cm (No. 8)
Inequivalent atoms, fractional coordinates:
La 0.0000 0.0000 0.0000 (multiplicity 2)
La 0.1969 0.0000 0.6971 (multiplicity 2)
Sc 0.3148 0.5000 0.3148 (multiplicity 2)
Os 0.4859 0.0000 0.4851 (multiplicity 2)

Summary:
energy relative to the elements: -0.055 eV per atom

***

# 5
Material: La2ScOs
Method: DFT, PBE-GGA
State: optimized geometry

a b c (Å): 5.1431 5.1431 3.7967
angles (deg): 90.00 90.00 90.00
Space group P4/mmm (No. 123)
Inequivalent atoms, fractional coordinates:
La 0.0000 0.5000 0.0000 (multiplicity 2)
Sc 0.0000 0.0000 0.5000 (multiplicity 1)
Os 0.5000 0.5000 0.5000 (multiplicity 1)

Summary:
energy relative to the elements: 0.190 eV per atom

***

# 6
Material: LaSc2Os
Method: DFT, PBE-GGA
State: optimized geometry

a b c (Å): 3.3032 4.5435 6.1571
angles (deg): 90.00 105.12 90.00
Space group P2/m (No. 10)
Inequivalent atoms, fractional coordinates:
La 0.0000 0.0000 0.0000 (multiplicity 1)
Sc 0.3865 0.5000 0.7071 (multiplicity 2)
Os 0.0000 0.0000 0.5000 (multiplicity 1)

Summary:
energy relative to the elements: 0.004 eV per atom

***

# 7
Material: LaSc2Os
Method: DFT, PBE-GGA
State: optimized geometry

a b c (Å): 4.2604 4.2604 4.8806
angles (deg): 90.00 90.00 90.00
Space group P4/mmm (No. 123)
Inequivalent atoms, fractional coordinates:
La 0.0000 0.0000 0.0000 (multiplicity 1)
Sc 0.0000 0.5000 0.5000 (multiplicity 2)
Os 0.5000 0.5000 0.0000 (multiplicity 1)

Summary:
energy relative to the elements: 0.085 eV per atom

***

# 8
Material: LaSc2Os
Method: DFT, PBE-GGA
State: optimized geometry

a b c (Å): 3.3292 3.3292 29.7674
=====
End of the calculated crystals:

Short film – anorexia nervosa

February 10, 2008

Anorexia, illness and addiction (short audio/film)

# What comes next are crystal structures, not part of the text
┌──
[1]
! Li5Hg8Pb PBE optimized geometry; values from VASP
! DOS at the Fermi energy ... 6.15 states/eV per cell
! E_form ... -0.21 eV/atom
! Space group ... I-4
&SYSTEM
  ibrav = 0, nat = 14, ntyp = 3
/
ATOMIC_SPECIES
Pb 207.20 Pb.upf
Li 6.94 Li.upf
Hg 200.59 Hg.upf
ATOMIC_POSITIONS angstrom
Pb 0.109 2.956 3.712
Li 3.263 3.812 1.765
Li 2.879 5.450 -2.627
Li 3.656 0.000 2.615
Li 2.101 0.462 6.189
Li -0.931 2.101 -0.098
Hg 1.153 5.658 2.668
Hg -1.936 4.384 1.483
Hg 1.469 3.581 -0.829
Hg 4.434 1.529 0.304
Hg -1.877 4.413 -1.656
Hg 1.483 1.499 1.373
Hg 3.346 2.332 4.273
Hg 6.554 0.255 2.844
CELL_PARAMETERS angstrom
7.096 0.000 -2.195
-3.656 5.913 -2.615
0.217 0.000 7.424

---

[2]
! Cs2HgPt PBE optimized geometry; values from VASP
! Polymorph energy (0 for the lowest one) ... 185 meV/atom
! E_form ... -0.01 eV/atom
! Space group ... Fm-3m
&SYSTEM
  ibrav = 0, nat = 4, ntyp = 3
/
ATOMIC_SPECIES
Cs 132.91 Cs.upf
Hg 200.59 Hg.upf
Pt 195.08 Pt.upf
ATOMIC_POSITIONS angstrom
Cs 3.017 1.742 1.232
Cs 9.051 5.226 3.695
Hg 0.000 0.000 0.000
Pt 6.034 3.484 2.463
CELL_PARAMETERS angstrom
6.034 0.000 0.000
3.017 5.226 0.000
3.017 1.742 4.927

---

[3]
! Ca4ZnPt3 PBE optimized geometry; values from VASP
! DOS at the Fermi energy ... 4.94 states/eV per cell
! E_form ... -0.81 eV/atom
! Space group ... I4/mcm
&SYSTEM
  ibrav = 0, nat = 16, ntyp = 3
/
ATOMIC_SPECIES
Pt 195.08 Pt.upf
Ca 40.08 Ca.upf
Zn 65.41 Zn.upf
ATOMIC_POSITIONS angstrom
Pt 2.088 3.973 2.503
Pt 3.959 1.662 5.617
Pt 3.959 6.284 5.617
Pt 3.964 0.000 1.404
Pt 1.321 0.000 0.468
Pt 5.830 3.973 8.730
Ca 2.990 5.520 8.351
Ca 6.085 6.874 8.011
Ca 2.990 2.426 8.351
Ca 0.800 1.072 6.139
Ca 4.927 2.426 2.882
Ca 4.927 5.520 2.882
Ca 7.118 6.874 5.094
Ca 1.833 1.072 3.222
Zn 5.280 3.973 6.084
Zn 2.637 3.973 5.149
CELL_PARAMETERS angstrom
5.285 0.000 1.872
2.642 7.946 0.936
-0.010 0.000 8.426

---

[4]
! CsNaSn PBE optimized geometry; values from VASP
! Polymorph energy (0 for the lowest one) ... 102 meV/atom
! DOS at the Fermi energy ... 4.72 states/eV per cell
! E_form ... -0.08 eV/atom
! Space group ... P2_12_12_1
&SYSTEM
  ibrav = 0, nat = 12, ntyp = 3
/
ATOMIC_SPECIES
Na 22.99 Na.upf
Cs 132.91 Cs.upf
Sn 118.71 Sn.upf
ATOMIC_POSITIONS angstrom
Na -4.217 -10.561 -0.311
Na -4.953 -4.716 0.458
Na -8.423 -12.897 -2.476
Na -3.847 -2.398 -4.167
Cs -7.049 -13.745 1.000
Cs -5.593 -9.712 -3.789
Cs -6.695 -5.578 -2.845
Cs -2.104 -1.536 -0.860
Sn -5.439 -7.963 1.234
Sn -5.824 0.199 -4.243
Sn -6.452 -15.492 -2.397
Sn -3.726 -7.316 -1.089
CELL_PARAMETERS angstrom
-4.085 1.066 1.884
-3.129 -0.011 -6.777
-3.507 -16.341 1.645

---

[5]
! Ti3CdGa PBE optimized geometry; values from VASP
! Polymorph energy (0 for the lowest one) ... 664 meV/atom
! DOS at the Fermi energy ... 8.76 states/eV per cell
! E_form ... 1.14 eV/atom
! Space group ... Pm-3m
&SYSTEM
  ibrav = 0, nat = 5, ntyp = 3
/
ATOMIC_SPECIES
Ti 47.87 Ti.upf
Cd 112.41 Cd.upf
Ga 69.72 Ga.upf
ATOMIC_POSITIONS angstrom
Ti 0.000 0.000 2.462
Ti 0.000 2.462 0.000
└──

February 4, 2008

A short video aimed ar people who suffer from anorexia. Inspirational and pro-recovery. Copy and paste the link below: